Set down everything further down with every line break kept, please.

~~~
# 1
Formula: C4H2N2S
Source: the Open Molecules 2025 dataset
Level of theory: ωB97M-V/def2-TZVPD

The geometry in ORCA input format:
```
! RIJCOSX wB97M-V def2-TZVPD def2/J DEFGRID3
* xyz 0 1
C 1.641 -0.401 0.809
C -1.651 -0.130 -0.165
C 0.661 0.387 0.274
C -0.359 -0.128 -0.742
N 2.342 -1.133 1.250
N -2.559 -0.177 0.496
S 0.601 1.978 0.795
H -0.152 -1.057 -1.233
H -0.524 0.662 -1.484
*
```

HOMO-LUMO gap in Eh: 0.291
LUMO level in eV: -2.28

For each atom in turn, the natural (NBO) charge in e is: atom 1 (C): 0.1748, atom 2 (C): 0.2706, atom 3 (C): -0.1586, atom 4 (C): -0.5623, atom 5 (N): -0.1998, atom 6 (N): -0.2737, atom 7 (S): 0.1930, atom 8 (H): 0.2718, atom 9 (H): 0.2842

=====

# 2
Formula: C4H2N4
Source: the Open Molecules 2025 dataset
Level of theory: ωB97M-V/def2-TZVPD

The geometry in ORCA input format:
```
! RIJCOSX wB97M-V def2-TZVPD def2/J DEFGRID3
* xyz 0 1
C 2.204 -0.227 -0.302
C -1.097 0.195 0.186
C -1.859 1.372 -0.041
C -1.641 -1.042 0.592
H 2.530 0.882 -0.049
H 3.074 -0.977 -0.452
N 0.976 -0.729 -0.222
N 0.171 0.374 -0.049
N -2.404 2.324 -0.467
N -1.956 -2.172 0.803
*
```

HOMO-LUMO gap in Eh: 0.325
LUMO level in eV: -1.90

For each atom in turn, the natural (NBO) charge in e is: atom 1 (C): -0.0011, atom 2 (C): 0.0122, atom 3 (C): 0.2421, atom 4 (C): 0.2152, atom 5 (H): 0.2045, atom 6 (H): 0.1993, atom 7 (N): -0.2869, atom 8 (N): -0.1604, atom 9 (N): -0.2231, atom 10 (N): -0.2018

=====

# 3
Formula: C4H2N8
Source: the Open Molecules 2025 dataset
Level of theory: ωB97M-V/def2-TZVPD

The geometry in ORCA input format:
```
! RIJCOSX wB97M-V def2-TZVPD def2/J DEFGRID3
* xyz 0 1
N 2.305 -1.407 -3.024
N -3.931 -0.677 0.898
N 0.021 -0.588 -2.373
N -1.830 0.360 1.780
N 1.447 0.160 -0.605
N -0.834 0.033 -0.361
N 1.137 -1.017 -2.840
N -3.004 -0.187 1.431
C 0.240 -0.142 -1.118
C 1.601 0.546 0.612
C -0.741 0.463 0.877
C 0.470 0.634 1.387
H 2.657 0.831 0.888
H 0.462 0.992 2.447
*
```

HOMO-LUMO gap in Eh: 0.326
LUMO level in eV: -0.38

For each atom in turn, the natural (NBO) charge in e is: atom 1 (N): 0.0457, atom 2 (N): 0.0678, atom 3 (N): -0.2958, atom 4 (N): -0.3852, atom 5 (N): -0.5004, atom 6 (N): -0.4728, atom 7 (N): 0.2149, atom 8 (N): 0.2367, atom 9 (C): 0.4985, atom 10 (C): 0.0989, atom 11 (C): 0.3539, atom 12 (C): -0.3128, atom 13 (H): 0.2163, atom 14 (H): 0.2342

=====

# 4
Formula: C4H2O2
Source: the Open Molecules 2025 dataset
Level of theory: ωB97M-V/def2-TZVPD

The geometry in ORCA input format:
```
! RIJCOSX wB97M-V def2-TZVPD def2/J DEFGRID3
* xyz 0 1
O 1.542 -0.893 0.608
C 0.922 0.099 0.894
C -1.411 0.831 0.977
C -0.420 0.373 0.259
C -0.567 -0.113 -1.171
O -1.449 0.201 -1.920
H 1.313 0.865 1.582
H 0.263 -0.788 -1.449
*
```

HOMO-LUMO gap in Eh: 0.336
LUMO level in eV: -1.64

For each atom in turn, the natural (NBO) charge in e is: atom 1 (O): -0.4777, atom 2 (C): 0.4452, atom 3 (C): 0.4064, atom 4 (C): -0.6652, atom 5 (C): 0.4436, atom 6 (O): -0.4636, atom 7 (H): 0.1505, atom 8 (H): 0.1606

=====

Q: Which value of LUMO level does entry 3 give?
A: -0.38 eV

=====

Q: HOMO-LUMO gap of number 2 (C4H2N4)?
A: 0.325 Eh

=====

Q: Among the records above, which one has the lowest LUMO level?
A: C4H2N2S


C5H11O2 | ωB97M-V with the def2-TZVPD basis set

XYZ file:
```
18
Properties=species:S:1:pos:R:3:lowdin_charge:R:1
C 0.238 2.232 -0.895 -0.182
C 0.442 2.867 0.469 -0.174
C -0.592 0.818 -0.651 -0.718
O -1.117 0.778 0.490 -0.101
O -0.548 -0.058 -1.516 -0.078
H -0.247 2.819 -1.655 0.070
H 1.230 1.886 -1.260 0.085
H 1.006 3.820 0.445 0.052
H 1.033 2.228 1.110 0.060
H -0.550 3.047 0.871 0.056
C 0.498 -2.416 0.860 -0.170
C -0.681 -2.701 -0.126 -0.205
H 0.126 -2.036 1.811 0.053
H 0.891 -3.452 0.864 0.046
H 1.136 -1.675 0.349 0.061
H -0.348 -2.694 -1.166 0.047
H -1.345 -1.791 -0.027 0.056
H -1.172 -3.669 0.028 0.042
```

Calculated values
* total charge: -1
* orbital gap: 8.1287 eV
* HOMO energy: -3.9 eV
* energy: -9459.3183 eV
~~~

# 1
Formula: C4H2N2S
Source: the Open Molecules 2025 dataset
Level of theory: ωB97M-V/def2-TZVPD

The geometry in ORCA input format:
```
! RIJCOSX wB97M-V def2-TZVPD def2/J DEFGRID3
* xyz 0 1
C 1.641 -0.401 0.809
C -1.651 -0.130 -0.165
C 0.661 0.387 0.274
C -0.359 -0.128 -0.742
N 2.342 -1.133 1.250
N -2.559 -0.177 0.496
S 0.601 1.978 0.795
H -0.152 -1.057 -1.233
H -0.524 0.662 -1.484
*
```

HOMO-LUMO gap in Eh: 0.291
LUMO level in eV: -2.28

For each atom in turn, the natural (NBO) charge in e is: atom 1 (C): 0.1748, atom 2 (C): 0.2706, atom 3 (C): -0.1586, atom 4 (C): -0.5623, atom 5 (N): -0.1998, atom 6 (N): -0.2737, atom 7 (S): 0.1930, atom 8 (H): 0.2718, atom 9 (H): 0.2842

=====

# 2
Formula: C4H2N4
Source: the Open Molecules 2025 dataset
Level of theory: ωB97M-V/def2-TZVPD

The geometry in ORCA input format:
```
! RIJCOSX wB97M-V def2-TZVPD def2/J DEFGRID3
* xyz 0 1
C 2.204 -0.227 -0.302
C -1.097 0.195 0.186
C -1.859 1.372 -0.041
C -1.641 -1.042 0.592
H 2.530 0.882 -0.049
H 3.074 -0.977 -0.452
N 0.976 -0.729 -0.222
N 0.171 0.374 -0.049
N -2.404 2.324 -0.467
N -1.956 -2.172 0.803
*
```

HOMO-LUMO gap in Eh: 0.325
LUMO level in eV: -1.90

For each atom in turn, the natural (NBO) charge in e is: atom 1 (C): -0.0011, atom 2 (C): 0.0122, atom 3 (C): 0.2421, atom 4 (C): 0.2152, atom 5 (H): 0.2045, atom 6 (H): 0.1993, atom 7 (N): -0.2869, atom 8 (N): -0.1604, atom 9 (N): -0.2231, atom 10 (N): -0.2018

=====

# 3
Formula: C4H2N8
Source: the Open Molecules 2025 dataset
Level of theory: ωB97M-V/def2-TZVPD

The geometry in ORCA input format:
```
! RIJCOSX wB97M-V def2-TZVPD def2/J DEFGRID3
* xyz 0 1
N 2.305 -1.407 -3.024
N -3.931 -0.677 0.898
N 0.021 -0.588 -2.373
N -1.830 0.360 1.780
N 1.447 0.160 -0.605
N -0.834 0.033 -0.361
N 1.137 -1.017 -2.840
N -3.004 -0.187 1.431
C 0.240 -0.142 -1.118
C 1.601 0.546 0.612
C -0.741 0.463 0.877
C 0.470 0.634 1.387
H 2.657 0.831 0.888
H 0.462 0.992 2.447
*
```

HOMO-LUMO gap in Eh: 0.326
LUMO level in eV: -0.38

For each atom in turn, the natural (NBO) charge in e is: atom 1 (N): 0.0457, atom 2 (N): 0.0678, atom 3 (N): -0.2958, atom 4 (N): -0.3852, atom 5 (N): -0.5004, atom 6 (N): -0.4728, atom 7 (N): 0.2149, atom 8 (N): 0.2367, atom 9 (C): 0.4985, atom 10 (C): 0.0989, atom 11 (C): 0.3539, atom 12 (C): -0.3128, atom 13 (H): 0.2163, atom 14 (H): 0.2342

=====

# 4
Formula: C4H2O2
Source: the Open Molecules 2025 dataset
Level of theory: ωB97M-V/def2-TZVPD

The geometry in ORCA input format:
```
! RIJCOSX wB97M-V def2-TZVPD def2/J DEFGRID3
* xyz 0 1
O 1.542 -0.893 0.608
C 0.922 0.099 0.894
C -1.411 0.831 0.977
C -0.420 0.373 0.259
C -0.567 -0.113 -1.171
O -1.449 0.201 -1.920
H 1.313 0.865 1.582
H 0.263 -0.788 -1.449
*
```

HOMO-LUMO gap in Eh: 0.336
LUMO level in eV: -1.64

For each atom in turn, the natural (NBO) charge in e is: atom 1 (O): -0.4777, atom 2 (C): 0.4452, atom 3 (C): 0.4064, atom 4 (C): -0.6652, atom 5 (C): 0.4436, atom 6 (O): -0.4636, atom 7 (H): 0.1505, atom 8 (H): 0.1606

=====

Q: Which value of LUMO level does entry 3 give?
A: -0.38 eV

=====

Q: HOMO-LUMO gap of number 2 (C4H2N4)?
A: 0.325 Eh

=====

Q: Among the records above, which one has the lowest LUMO level?
A: C4H2N2S


C5H11O2 | ωB97M-V with the def2-TZVPD basis set

XYZ file:
```
18
Properties=species:S:1:pos:R:3:lowdin_charge:R:1
C 0.238 2.232 -0.895 -0.182
C 0.442 2.867 0.469 -0.174
C -0.592 0.818 -0.651 -0.718
O -1.117 0.778 0.490 -0.101
O -0.548 -0.058 -1.516 -0.078
H -0.247 2.819 -1.655 0.070
H 1.230 1.886 -1.260 0.085
H 1.006 3.820 0.445 0.052
H 1.033 2.228 1.110 0.060
H -0.550 3.047 0.871 0.056
C 0.498 -2.416 0.860 -0.170
C -0.681 -2.701 -0.126 -0.205
H 0.126 -2.036 1.811 0.053
H 0.891 -3.452 0.864 0.046
H 1.136 -1.675 0.349 0.061
H -0.348 -2.694 -1.166 0.047
H -1.345 -1.791 -0.027 0.056
H -1.172 -3.669 0.028 0.042
```

Calculated values
* total charge: -1
* orbital gap: 8.1287 eV
* HOMO energy: -3.9 eV
* energy: -9459.3183 eV